Monday, October 27, 2008

[Someone pasted calculated molecules at this point]
=====
Record 1
Here is C18H23HfIN2 as an isolated structure at a distorted geometry from the Open Molecules 2025 dataset. Energies are from wB97M-V/def2-TZVPD.

Structure (XYZ):
```
45
Properties=species:S:1:pos:R:3:forces:R:3
C 3.494530 4.108198 0.922814 -0.02 0.07 0.09
C 4.662452 3.203007 0.555764 0.15 0.14 0.10
H 3.185784 4.714939 0.070139 -0.02 0.03 0.00
H 3.770076 4.789949 1.732240 -0.07 -0.06 -0.12
H 2.617965 3.538093 1.245879 0.37 0.13 0.19
H 4.374350 2.411680 -0.138431 -0.01 0.00 -0.06
H 5.451115 3.792217 0.081115 -0.03 -0.16 0.03
H 5.093654 2.736048 1.443937 -0.03 -0.02 -0.08
C -2.912219 1.012943 -0.694044 0.39 -0.63 -0.11
C -4.053294 0.956351 -1.470322 -0.22 0.25 0.10
C -4.277354 -0.134742 -2.301384 0.15 -0.06 0.17
C -3.309966 -1.129109 -2.373681 0.91 -0.44 0.13
H -2.648793 1.859782 -0.063377 -0.34 -0.21 -0.06
H -4.758196 1.778043 -1.423516 0.05 -0.08 0.00
H -5.177011 -0.216873 -2.908593 0.18 0.12 0.15
H -3.408871 -1.969480 -3.056076 -0.22 0.31 0.12
N -1.989178 0.011152 -0.721440 -0.97 -0.37 -1.50
C -2.143120 -1.043944 -1.609030 -1.03 1.36 0.21
C -1.010598 -1.971453 -1.741720 1.37 -0.61 -0.12
N 0.158626 -1.641483 -1.072656 -0.78 -1.17 -0.30
C 1.193308 -2.526909 -0.996293 -0.99 0.42 -0.58
C 0.022894 -3.995037 -2.496782 0.03 0.29 0.03
C 1.151752 -3.703276 -1.722366 0.08 -0.11 0.09
H 2.006178 -2.231552 -0.333328 0.06 -0.24 -0.34
H 1.999169 -4.379892 -1.672953 -0.20 0.02 -0.04
C -1.066671 -3.128855 -2.516878 -0.26 0.66 0.48
H -1.980223 -3.309936 -3.094080 0.64 -0.31 0.26
H -0.040387 -4.898038 -3.086203 0.21 -0.11 0.02
Hf -0.093166 0.086286 0.195733 0.62 0.96 1.57
I 0.326320 2.708786 0.209045 -0.08 -0.13 -0.30
C 1.255863 -0.781688 5.302447 0.46 -0.29 -0.16
C -0.026629 -0.139493 4.755344 0.49 0.20 0.56
C -1.272845 -0.784825 5.344029 -0.70 -0.35 -0.05
C -0.004036 1.341214 5.122454 -0.04 0.54 -0.13
C -0.145462 -0.284956 3.316539 -0.16 -0.42 -0.12
C -0.405638 -0.528451 2.138099 0.29 0.16 -0.13
H 1.268091 -0.718887 6.399337 -0.14 0.05 -0.33
H 2.135410 -0.242720 4.928344 -0.14 -0.16 0.09
H 1.351182 -1.837291 5.023771 -0.08 0.18 0.05
H -1.276562 -0.727902 6.434938 0.17 0.08 -0.12
H -2.150648 -0.252880 4.969804 -0.07 -0.12 0.13
H -1.359278 -1.833893 5.051090 0.03 0.07 0.08
H 0.882938 1.834840 4.718132 -0.05 -0.02 0.08
H -0.886381 1.846854 4.727972 -0.01 0.07 0.10
H 0.003372 1.442884 6.211486 0.00 -0.03 -0.17
```
Positions in Å, forces in eV/Å.

As for the charge: +2. As for the energy above the lowest of the compared OMol25 structures with the same formula, charge and spin: 2.50 kcal/mol. The value obtained for the calculated total energy is -31411.8308 eV. The value obtained for the LUMO energy is -8.321 eV. Its highest occupied orbital energy is -15.558 eV. The frontier orbital gap comes out at 7.236 eV.

Atom charges from the natural (NBO) analysis, given in e for atoms 1 to 4: atom 1 (C): -0.6018, atom 2 (C): -0.6079, atom 3 (H): 0.2054, atom 4 (H): 0.2238


Record 2
=====

The Vote & Pray Choice

Make no mistake. John McCain would make a great President. Nothing is more admirable in a politician then the willingness to stand up and be counted for what he or she believes is the right thing to do. While the Republican Party’s manifesto has always been marred by its right wing social agenda and cowboy approach to geopolitics, McCain emerges as a pragmatic fiscal conservative with a track record of standing up to his own party on issues driven by lunatic fringes within, including the neocons and Bush.

Compare that to his opponent who has no resume to boast of and appears out of sorts on substantive issues when he does not have his speech writers backing him up. Rhetoric is no substitute for logic and Obama has on countless occasions betrayed a fundamental lack of understanding of some of the problems facing his country and the world. For example, his assertion that he will talk to Iran with no pre-conditions is churlish. It may result in some photo ops and an academic debate with that country’s leader on whether the holocaust actually happened but will not stop him funding of the Hizbullah and may even embolden his blatant disregard for international opinion. Such a course of action may just prove to be as dangerous as Bush’s “good cop will fix the bad guy” policy.

Again, on the economy, Obama is misguidedly left of centre. Both have spelled out their proposals in policy statements and it is clear that while Obama will cut taxes for middle class America, McCain proposes tax cuts for corporate America. So will somebody now move the quality of the debate up by a notch or two? Obama’s proposals will of course, be more popular. Unfortunately, all tax cuts are not necessarily good for the economy. It is only those targeted tax incentives which have the potential to encourage investments and generate jobs which are desirable. For instance, a tax break linked to investments made or the creation of research facilities or infrastructure results in productive use of the tax dollar. Private corporations use the tax dollars more efficiently so rather than the government taking it away and then diverting the money in an inefficient manner it is better to let companies retain their earnings and put the same tax dollars to more productive use. On the other hand, Obama’s tax breaks which will result in a US $3,000 saving for several American households will not achieve much. For instance if this gift from the Obama administration is diverted to the purchase of consumer electronics which will be made in Taiwan or China, Uncle Sam will contribute to generating more income in these countries perpetuating the economic crisis in same way that it was created. (For a more detailed analysis of the economic crisis see the next blog on Monday morning).

Given the McCain camp’s inability to articulate this to the average American voter, it is quite likely that we will see a sweeping mandate for the democrats on November 4. Ordinarily, this would rank as a disaster of sorts, leaving one to only hope that if Obama’s politics are for simple minded then at least his policies once in the saddle are pragmatic without being mired in ideological constrains of whatever hue.

So why then, have I decided that given a choice, Obama is the candidate that America should elect as President? The answer is that we are not living in ordinary times. The ongoing economic meltdown needs a big fix. The answer does not lie in small minded policy tinkering and as the most able Treasury Secretary is discovering, the normal tools of economic manipulation at his disposal are insufficient. The reason for this is that there is a very close relationship between macro economics and behavioral economics. Indeed, it is not far fetched to say that macro economics is only the symptom of collective group psychology. As scary as it may sound, it is necessary to recognize the fact that our prosperity as well as that of future generations is dependant on the principles of mob psychology rather than interest rates, inflation or the stock market index. Indeed, these indicators are only the result of what is called as “collective sentiment.” Consider the following. When the sentiment was positive people came to the party thinking it would never end. Even Gordon Brown, the present British Prime Minister stood up in Parliament and said that the era of boom and bust cycles had ended. The iconic Alan Greenspan framed his progressive interest cuts on this very belief. And even those with doctorates in economics invested heavily in the stock markets believing that economic prosperity had reached a new paradigm due to methods of increasing productivity which were unknown at the time that economic cycles were invented. These are symptomatic of mass hysteria leading to fatal lack of recognition of the bubble that was developing. So small wonder that when it burst it took everyone by surprise. It was something which they never thought would happen. Now the shock of it all has created exactly the opposite mindset. Just like the inebriated at a late night party, the world has woken up the next morning, not just with a hangover but with a feeling that the end is near. People are now predicting Armageddon. Just as previously the unbridled optimism bred reckless economics, the present pessimism is now resulting in a global siege mentality. The need of the hour is therefore for someone to restore some semblance of confidence and normality so that rationality will return to the global market place. And it has to all start where it began – the United States of America! An aging McCain with an old world mindset does not have it in him to reverse the psyche of the American people. An inspirational Obama who has created a movement out of a political opportunity with his oratorical skills, is the right man to inspire, lead and restore confidence in the same manner as Churchill led a defeated Britain out of the mess at Dunkirk to ultimate victory over Nazi Germany. History has this knack of throwing up men with the ability to turn the collective psyche of a nation, at a time when it is needed the most.

Ironically, Obama is likely to take the White House for all the wrong reasons – whether it is the blacks voting for “one ‘o us” or the intellectually feeble who believe his promise to fix health care, restore international understanding and co-operation, save the country from economic ruin and reduce their tax bill, all at the same time. Unfortunately for McCain, once elected Obama is the only guy with the potential to inject the adrenalin into the American psyche to lead his electorate to hope and start believing in themselves once again. And it is this turn of sentiment which will lead to the stabilization of the economy and not any amount of tinkering which his Treasury Secretary will do. Make no mistake. This is America. The most free and open society in the world. The place where innovation thrives and the country which has not only given the world every modern tool at its disposal, including the internet, but has also shaped society across the globe – a fact that attracts more resentment then appreciation. Such an environment can flounder only if its people lose their self confidence. And Obama’s role in history may just be to reverse that sad trend. He may still mess it up by trying to play God and finding that he does’nt have a magic wand after all. But as long as he presents his carefully cultivated calm and composed image and his speech writer does not retire, there is hope for the future.

Which is why the only thing to do for the American people is to vote for the Obama ticket and pray that he chooses the right set of advisors.